
Under The Moonlight

The following week had started, but it was only 1:34 AM. The second week of the Academy would officially begin at 8:30. With this timing, you would think the student would be asleep, but some people can't help waking up in the middle of the night. Maria's throat was parched; it needed water. She sat up from her bed, half asleep, fighting her sleep demons. 

**Attached: calculated crystals**
........
No. 1
Material: Sm4Si3Pd4
Method: DFT, PBE
State: relaxed

The formation energy comes out at -0.893 eV/atom.

a = 11.0227 Å, b = 11.0227 Å, c = 7.9274 Å
α = 108.26°, β = 108.26°, γ = 29.46°
With the nearest neighbours (Å) after each atom.
Atoms (fractional coordinates):
Sm: 0.0659 0.7983 0.8289  4 Si 3.03-3.39, 5 Pd 3.04-3.15
Sm: 0.2017 0.9341 0.6711  4 Si 3.03-3.39, 5 Pd 3.04-3.15
Sm: 0.2053 0.4545 0.1031  3 Si 3.03-3.10, 7 Pd 3.04-3.34
Sm: 0.4545 0.2053 0.6031  3 Si 3.03-3.10, 7 Pd 3.04-3.34
Sm: 0.5455 0.7947 0.3969  3 Si 3.03-3.10, 7 Pd 3.04-3.34
Sm: 0.7947 0.5455 0.8969  3 Si 3.03-3.10, 7 Pd 3.04-3.34
Sm: 0.7983 0.0659 0.3289  4 Si 3.03-3.39, 5 Pd 3.04-3.15
Sm: 0.9341 0.2017 0.1711  4 Si 3.03-3.39, 5 Pd 3.04-3.15
Si: 0.0511 0.2919 0.5509  4 Pd 2.44-2.58
Si: 0.2919 0.0511 0.0509  4 Pd 2.44-2.58
Si: 0.3480 0.6520 0.2500  4 Pd 2.66-2.67
Si: 0.6520 0.3480 0.7500  4 Pd 2.66-2.67
Si: 0.7081 0.9489 0.9491  4 Pd 2.44-2.58
Si: 0.9489 0.7081 0.4491  4 Pd 2.44-2.58
Pd: 0.0848 0.3631 0.3053  3 Si 2.44-2.54
Pd: 0.3022 0.5646 0.4813  3 Si 2.58-2.67
Pd: 0.3631 0.0848 0.8053  3 Si 2.44-2.54
Pd: 0.4354 0.6978 0.0187  3 Si 2.58-2.67
Pd: 0.5646 0.3022 0.9813  3 Si 2.58-2.67
Pd: 0.6369 0.9152 0.1947  3 Si 2.44-2.54
Pd: 0.6978 0.4354 0.5187  3 Si 2.58-2.67
Pd: 0.9152 0.6369 0.6947  3 Si 2.44-2.54


No. 2
Material: AlAsO6
Method: DFT, PBE
State: relaxed

The calculation puts the corrected total energy (MP2020 scheme) at -0.44996 Ry/atom. The formation energy comes out at -1.361 eV/atom.

a = 8.8925 Å, b = 10.0137 Å, c = 10.0543 Å
α = 90.00°, β = 90.00°, γ = 90.00°
With the nearest neighbours (Å) after each atom.
Atoms (fractional coordinates):
Al: 0.1414 0.1883 0.1272  6 O 1.82-1.95
Al: 0.1414 0.3117 0.6272  6 O 1.82-1.95
Al: 0.3586 0.6883 0.1272  6 O 1.82-1.95
Al: 0.3586 0.8117 0.6272  6 O 1.82-1.95
Al: 0.6414 0.1883 0.3728  6 O 1.82-1.95
Al: 0.6414 0.3117 0.8728  6 O 1.82-1.95
Al: 0.8586 0.6883 0.3728  6 O 1.82-1.95
Al: 0.8586 0.8117 0.8728  6 O 1.82-1.95
As: 0.0408 0.6359 0.6613  4 O 1.69-1.74
As: 0.0408 0.8641 0.1613  4 O 1.69-1.74
As: 0.4592 0.1359 0.6613  4 O 1.69-1.74
As: 0.4592 0.3641 0.1613  4 O 1.69-1.74
As: 0.5408 0.6359 0.8387  4 O 1.69-1.74
As: 0.5408 0.8641 0.3387  4 O 1.69-1.74
As: 0.9592 0.1359 0.8387  4 O 1.69-1.74
As: 0.9592 0.3641 0.3387  4 O 1.69-1.74
O: 0.0087 0.7030 0.8131  1 As 1.69, 1 Al 1.82
O: 0.0087 0.7970 0.3131  1 As 1.69, 1 Al 1.82
O: 0.0245 0.0349 0.1699  1 As 1.72, 1 Al 1.90
O: 0.0245 0.4651 0.6699  1 As 1.72, 1 Al 1.90
O: 0.0972 0.1941 0.9463  1 As 1.74, 1 Al 1.86
O: 0.0972 0.3059 0.4463  1 As 1.74, 1 Al 1.86
O: 0.2002 0.5771 0.0517  1 Al 1.95
O: 0.2002 0.9229 0.5517  1 Al 1.95
O: 0.2156 0.6758 0.6027  1 As 1.71, 1 Al 1.88
O: 0.2156 0.8242 0.1027  1 As 1.71, 1 Al 1.88
O: 0.2194 0.1291 0.2947  1 Al 1.92
O: 0.2194 0.3709 0.7947  1 Al 1.92
O: 0.2806 0.6291 0.2947  1 Al 1.92
O: 0.2806 0.8709 0.7947  1 Al 1.92
O: 0.2844 0.1758 0.6027  1 As 1.71, 1 Al 1.88
O: 0.2844 0.3242 0.1027  1 As 1.71, 1 Al 1.88
O: 0.2998 0.0771 0.0517  1 Al 1.95
........

"Cough. Cough", her body couldn't go back to sleep. With that, she was forced out of her bed to get water. She slowly unwrapped the blanket off her and unwillingly stood up. The warmth of her bed was calling her, and Maria's body was dissipating heat. She didn't want to leave, but her throat was like sandpaper. She rubbed her eyes and stumbled her way out of her room. She swayed from side to side, not turning on the lights, only using the moonlight shining through the balcony to navigate her way to the kitchen. When she reached the kitchen, she opened the faucet and carefully washed her face and eyes with cold water. She grabbed a glass drying on the side and filled it. She sipped the drink first, letting the cold water heal her throat. She looked up from her glass and looked at the room. She was entranced by how beautiful it looked due to the moonlight illuminating it. Caught in the moment, she wandered towards the balcony to see the moon more clearly. When she reached the balcony door, she was amazed by the sight of it. Eagerly wanting more than just visuals, she wanted to feel the cold air and be a part of the atmosphere. She opened the balcony door. It felt like she was in front of a portal between reality and dreamland. She stepped out, and everything hit at once. The cold air kissed her face, the sound of the wind whispered in her ear, the smell of the fresh air, the cold air enhancing the cold taste of water she had moments ago and the visual of the moon in front of her. All her senses got to experience something different the world had to offer. It was a dream-like experience. Was it always like this late at night? Her eyes were focused in front of her, but she noticed something in the corner of her left eye. She instinctively turned her head to the left and saw Malakai leaning on his balcony's railing. Was this a dream? 

Malakai turned to look at her, surprised someone else was awake


Maria, trapped in the moment, just stared at him for a few seconds before replying,

"Hey." She then took a few steps to the right to get closer to Malakai's balcony.

"Why are you on the balcony?" She questioned, staring at him, trapped by his presence.

"I can't sleep. What bout you?" Malakai stood up from his leaning position.

"I went to get some water because my throat was dry. Then I saw the moon and wanted to see it better." Maria was still holding her glass of water with both hands.

"How long have you been out here?" Maria asked.

"Not long. I was in bed and couldn't sleep, so I just thought, lemme look at the sky." Malakai then looked up at the stars,

"It calms me down. It reminds me that the world can be beautiful sometimes".

Maria joined Malakai in looking at the stars. They both watched the night sky for a few seconds. Maria turned slightly to look at Malakai, who was admiring the sky. He had a look in his eye that was different from all the other times she'd looked at him. She couldn't figure out what had changed, but it definitely was different. Whenever Maria looked at Malakai, he always had something different about him; it was like she was learning more about him only by looking at him. That interested Maria, and she wanted to know more about Malakai because of those different looks. Maria wanted to keep talking. It was the first time they could properly conversate one on one,

"You said you were from the UK; why did you come to America?" She asked, taking the first step.

Malakai blinked to snap himself out of the moment and then turned to Maria,

"To come to this Academy. My friends told me to, so I did".

Maria finished her glass of water and placed the cup on the floor.

"You mean your friends now? How did you meet them?" She asked.

"Online. We've been friends for like two or three years." Malakai broke eye contact and looked at the sky to act out in his head and reminisce the memory.

"It was so random. I was just playing by myself and thought, let me join a public lobby. Next thing you know, I joined a lobby with those five". Malakai then looked down,

"I didn't really wanna speak, but I got pressure into talking, so I put my mic on, and yeah, the rest is history. We kept winning, so we decided to become friends. From that day on, all of us kept speaking in the group chat we made." Malakai then looked at Maria, who looked like she was invested in the story.

"All of us aren't the same age though". 

"You're not?" Marai asked.

"Na, David, William and Lucas are 19. Me, Benjamin, and Ray are 18".

"Who's the youngest?"

"Me. My birthday is in July, July 10th".

"Woah, Mines December 9th".

"That's in a few months. Need to remember that date", he said, smiling at her.

**Misplaced crystal structures:**
........
--- A ---
# Li9Co7O16 | Materials Project | PBE with a Hubbard U | optimized geometry
data_Li9Co7O16
_cell_length_a 19.428
_cell_length_b 19.428
_cell_length_c 4.973
_cell_angle_alpha 94.74
_cell_angle_beta 94.74
_cell_angle_gamma 8.84
_symmetry_space_group_name_H-M 'P 1'
_symmetry_Int_Tables_number 1
_symmetry_space_group_name_Hall 'P 1'
loop_
_atom_site_label
_atom_site_type_symbol
_atom_site_fract_x
_atom_site_fract_y
_atom_site_fract_z
Li1 Li 0.000 0.000 0.000
Li2 Li 0.061 0.061 0.688
Li3 Li 0.187 0.187 0.061
Li4 Li 0.313 0.313 0.439
Li5 Li 0.439 0.439 0.820
Li6 Li 0.561 0.561 0.180
Li7 Li 0.687 0.687 0.561
Li8 Li 0.813 0.813 0.939
Li9 Li 0.939 0.939 0.312
Co1 Co 0.125 0.125 0.374
Co2 Co 0.250 0.250 0.750
Co3 Co 0.376 0.376 0.126
Co4 Co 0.500 0.500 0.500
Co5 Co 0.624 0.624 0.874
Co6 Co 0.750 0.750 0.250
Co7 Co 0.875 0.875 0.626
O1 O 0.027 0.027 0.363
O2 O 0.095 0.095 0.040
O3 O 0.154 0.154 0.709
O4 O 0.221 0.221 0.415
O5 O 0.279 0.279 0.085
O6 O 0.346 0.346 0.792
O7 O 0.404 0.404 0.462
O8 O 0.472 0.472 0.196
O9 O 0.528 0.528 0.804
O10 O 0.596 0.596 0.538
O11 O 0.654 0.654 0.208
O12 O 0.721 0.721 0.915
O13 O 0.779 0.779 0.585
O14 O 0.846 0.846 0.291
O15 O 0.905 0.905 0.960
O16 O 0.973 0.973 0.637
# V, Å³ per cell: 287.4

---

--- B ---
# Li9Co7O16 | Materials Project | PBE with a Hubbard U | optimized geometry
data_Li9Co7O16
_cell_length_a 7.720
_cell_length_b 7.720
_cell_length_c 5.849
_cell_angle_alpha 112.02
_cell_angle_beta 112.02
_cell_angle_gamma 97.58
_symmetry_space_group_name_H-M 'P 1'
_symmetry_Int_Tables_number 1
_symmetry_space_group_name_Hall 'P 1'
loop_
_atom_site_label
_atom_site_type_symbol
_atom_site_fract_x
_atom_site_fract_y
_atom_site_fract_z
Li1 Li 0.000 0.000 0.000
Li2 Li 0.000 0.000 0.500
Li3 Li 0.123 0.370 0.994
Li4 Li 0.251 0.749 0.000
Li5 Li 0.370 0.123 0.994
Li6 Li 0.500 0.500 0.000
Li7 Li 0.630 0.877 0.006
Li8 Li 0.749 0.251 0.000
Li9 Li 0.877 0.630 0.006
Co1 Co 0.121 0.368 0.496
Co2 Co 0.248 0.752 0.500
Co3 Co 0.368 0.121 0.496
Co4 Co 0.500 0.500 0.500
Co5 Co 0.632 0.879 0.504
Co6 Co 0.752 0.248 0.500
Co7 Co 0.879 0.632 0.504
O1 O 0.021 0.517 0.281
O2 O 0.131 0.856 0.726
O3 O 0.144 0.869 0.274
O4 O 0.251 0.251 0.256
O5 O 0.257 0.257 0.732
O6 O 0.365 0.625 0.721
O7 O 0.375 0.635 0.279
O8 O 0.483 0.979 0.719
O9 O 0.517 0.021 0.281
O10 O 0.625 0.365 0.721
O11 O 0.635 0.375 0.279
O12 O 0.743 0.743 0.268
O13 O 0.749 0.749 0.744
O14 O 0.856 0.131 0.726
O15 O 0.869 0.144 0.274
O16 O 0.979 0.483 0.719
# V, Å³ per cell: 284.1

---

--- C ---
# Li9Co7O16 | Materials Project | PBE with a Hubbard U | optimized geometry
data_Li9Co7O16
_cell_length_a 10.160
_cell_length_b 10.160
_cell_length_c 10.160
_cell_angle_alpha 32.95
_cell_angle_beta 32.95
_cell_angle_gamma 32.95
_symmetry_space_group_name_H-M 'P 1'
_symmetry_Int_Tables_number 1
_symmetry_space_group_name_Hall 'P 1'
loop_
_atom_site_label
_atom_site_type_symbol
_atom_site_fract_x
_atom_site_fract_y
_atom_site_fract_z
Li1 Li 0.000 0.000 0.000
Li2 Li 0.244 0.754 0.754
........
**End of the crystal structures:**

Hearing that made Maria's heart skip a beat. 

"But yeah, all of them had met and planned to come to this Academy. I couldn't link with them because I was in England, but they told me all about this Academy and how much fun it would be. So I thought, why not?".

"What about your family? What did they say?"

Malakai smiled,

"Yeaa, at first they were against it but they saw how much I wanted to go so they let me".

Malakai looked up at the sky again,

"I miss them, obviously, but you have to make sacrifices sometimes".

Maria looked at Malakai's eyes, which were focused on the sky, and there were stars in Malakai's eyes with how they reflected onto them in the sky. 

It looked like a movie scene. She could tell Malakai was grateful and blessed to come to this Academy and that he loved his parents for allowing him to attend.

"I'm sure they're happy for you", Maria reassured.

"Yeah. What about you? Were your parents against it?" Malakai was asking the questions this time.

"No. My parents are always happy with me. They support whatever I do. Tanisha told me about this Academy, and I looked into it and found it interesting. I asked my mom, and she was happy."

Malakai showed a gentle smile like you would give a child.

"That's nice." Malakai leaned over the balcony railing again and turned his head to Maria to ask,

"How is your life?".

"What do you mean?" Maria was confused.

"I didn't know until my friends told me, but you're the daughter of a celebrity. Life must be good, no?"

Malakai realised he may have been too direct and rude again.

"Oh shit, that might've been a bit too personal".

"No, no, it's fine", Maria said, shaking her head.

"I mean, yeah, life is good. I'm not a spoilt or anything; maybe when I was younger because my mom spoiled me, but when I got older, I stopped."

Malakai laughed a little.

"Why are you laughing?" She questioned.

"It's funny you had to clarify you're not spoilt. Typical rich kid shit to be spoilt and condescending".

"I'm not like that, I promise", Maria pouted.

"I ain't saying you are. Don't worry", Malakai smiled.

Maria looked at Malakai's scar across his nose. Something that always stood out was his scar; it made him different and unique. It was the thing most students remembered for him.

Records of crystals, kept here for reference:
- - -
Entry 1:
Below is a relaxed ScTl3F6 crystal, with properties calculated at the GGA-PBE level.

Values from the calculation:
**Energy above the lowest structure with this stoichiometry**: 0.0 meV per atom
**Space group**: P4/mnc (128)
**Energy of formation**: -2.9270 eV/atom

Lattice parameters (Å, degrees): 6.5436 6.5436 9.4520 90.00 90.00 90.00
Fractional coordinates of all 20 atoms:
Sc 0.0000 0.0000 0.0000
Sc 0.5000 0.5000 0.5000
Tl 0.0000 0.0000 0.5000
Tl 0.0000 0.5000 0.2500
Tl 0.0000 0.5000 0.7500
Tl 0.5000 0.0000 0.2500
Tl 0.5000 0.0000 0.7500
Tl 0.5000 0.5000 0.0000
F 0.0000 0.0000 0.2160
F 0.0000 0.0000 0.7840
F 0.1417 0.2781 0.0000
F 0.2219 0.3583 0.5000
F 0.2781 0.8583 0.0000
F 0.3583 0.7781 0.5000
F 0.5000 0.5000 0.2840
F 0.5000 0.5000 0.7160
F 0.6417 0.2219 0.5000
F 0.7219 0.1417 0.0000
F 0.7781 0.6417 0.5000
F 0.8583 0.7219 0.0000

Entry 2:
Below is a relaxed SrCuTe2O6 crystal, with properties calculated at the GGA-PBE level.

Values from the calculation:
**Space group**: P4_132 (213)
**Energy of formation**: -1.8296 eV/atom

Lattice parameters (Å, degrees): 12.6296 12.6296 12.6296 90.00 90.00 90.00
Fractional coordinates of all 120 atoms:
Sr 0.0544 0.0544 0.0544
Sr 0.1250 0.3750 0.6250
Sr 0.1956 0.8044 0.3044
Sr 0.3044 0.1956 0.8044
Sr 0.3750 0.6250 0.1250
Sr 0.4456 0.9456 0.5544
Sr 0.5544 0.4456 0.9456
Sr 0.6250 0.1250 0.3750
Sr 0.6956 0.6956 0.6956
Sr 0.8044 0.3044 0.1956
Sr 0.8750 0.8750 0.8750
Sr 0.9456 0.5544 0.4456
Cu 0.0241 0.1250 0.7741
Cu 0.1250 0.7741 0.0241
Cu 0.2259 0.5241 0.3750
Cu 0.2741 0.4759 0.8750
Cu 0.3750 0.2259 0.5241
Cu 0.4759 0.8750 0.2741
Cu 0.5241 0.3750 0.2259
Cu 0.6250 0.7259 0.9759
Cu 0.7259 0.9759 0.6250
Cu 0.7741 0.0241 0.1250
Cu 0.8750 0.2741 0.4759
Cu 0.9759 0.6250 0.7259
Te 0.0606 0.3375 0.9209
Te 0.0791 0.5606 0.1625
Te 0.0875 0.3106 0.3291
Te 0.1625 0.0791 0.5606
Te 0.1709 0.9125 0.8106
Te 0.1894 0.6709 0.5875
Te 0.3106 0.3291 0.0875
Te 0.3291 0.0875 0.3106
Te 0.3375 0.9209 0.0606
Te 0.4125 0.6894 0.8291
Te 0.4209 0.4394 0.6625
Te 0.4394 0.6625 0.4209
Te 0.5606 0.1625 0.0791
Te 0.5791 0.9394 0.8375
Te 0.5875 0.1894 0.6709
Te 0.6625 0.4209 0.4394
Te 0.6709 0.5875 0.1894
Te 0.6894 0.8291 0.4125
Te 0.8106 0.1709 0.9125
Te 0.8291 0.4125 0.6894
Te 0.8375 0.5791 0.9394
Te 0.9125 0.8106 0.1709
Te 0.9209 0.0606 0.3375
Te 0.9394 0.8375 0.5791
O 0.0158 0.2278 0.4369
O 0.0198 0.6311 0.2787
O 0.0222 0.7658 0.6869
O 0.0287 0.8811 0.2302
O 0.0631 0.9842 0.7278
O 0.0707 0.8784 0.9221
O 0.0779 0.5707 0.6216
O 0.1189 0.7302 0.4713
O 0.1216 0.4221 0.4293
O 0.1284 0.1793 0.6721
O 0.1311 0.2213 0.9802
O 0.1721 0.3716 0.8207
O 0.1793 0.6721 0.1284
O 0.1869 0.4778 0.2342
O 0.2213 0.9802 0.1311
O 0.2278 0.4369 0.0158
O 0.2302 0.0287 0.8811
O 0.2342 0.1869 0.4778
O 0.2658 0.8131 0.9778
O 0.2698 0.9713 0.3811
O 0.2722 0.5631 0.5158
O 0.2787 0.0198 0.6311
O 0.3131 0.5222 0.7342
O 0.3207 0.3279 0.6284
O 0.3279 0.6284 0.3207
O 0.3689 0.7787 0.4802
O 0.3716 0.8207 0.1721
O 0.3784 0.5779 0.9293
O 0.3811 0.2698 0.9713
- - -

"If you don't mind me asking, how did you get that scar?"

Malakai touched his scar,

"This? When I was younger, I was running, and I wasn't paying attention to where I was going because I was looking behind. Then, when I turned my head to look forward, I bumped into the corner of a table".

"Ouch", Maria said, holding her nose.

"I was crying for hours. Apparently, I don't remember though", Malakai joked while rubbing his neck.

Maria giggled

"Of course, you don't remember that part".

Maria let out a big yawn as she was still tired. Seeing Malakai gave her a little stamina boost, but that was wearing out. Malakai noticed and yawned as well, even though he wasn't tired. He saw Maria was still sleepy, so he played it off as he was tired.

"We've been talking for a long time; I think I can sleep now". Malakai said for Maria's sake.

Maria looked at Malakai, not wanting to end the conversation, but her eyelids were heavy and wanted to drop. She yawned again.

"Yeah, let's talk out here again, but much earlier", she smiled.

"We'll see. I'm a pretty busy guy", he said sarcastically.

"Goodnight", Maria giggled while waving.


Maria went back into her dorm and closed the balcony door. She walked like a drunk back to her room while Malakai, who was not sleepy, went back inside and closed the balcony door. He stood inside contemplating playing on the PlayStation, but after a few moments, he gave up on that idea and went to his room. He went to his room, lay on his bed, and covered himself with the blanket. Malakai looked up at the ceiling and was lost in thought for a few minutes. He was thinking about everything but nothing at the same time. He looked at his bedside table and grabbed his phone to check the time. It was a few minutes past two. Malakai put down his phone, turned to his right side, and closed his eyes, waiting to drift to sleep.


2:06 AM.

Malakai: Why can't I sleep.

A few minutes go by. Malakai keeps switching sides.

Malakai: Bro, I can't sleep. 

10 minutes later.

Malakai: Is the weather good tomorrow? Lemme check.

He checks and then puts his phone back down.

Malakai: Did I set an alarm?

He picked his phone back up to check if there was an alarm set. He also checked the volume several times. 

Malakai closed his eyes.

Malakai: How did that one show end again?

He picked up his phone and went to YouTube to watch a video. He finished watching the video and put his phone down again.

20 minutes later.

Malakai was listening to music while staring at the ceiling.

Malakai: I might be an insomniac. 

Thanks for reading. Happy new year.

Nihhzzcreators' thoughts